Well, here we are- in the home stretch of this pregnancy and preparing to meet our boy any day now. Everyone keeps asking me how I am feeling and each time they do, that old Carly Simon song “Anticipation” pops into my head. That is the name of the game these days- waiting, hoping, wishing, praying, anticipating. My friend Erin once shared the below eCard on Instagram and I remember chuckling at the time and now let me just say that I GET IT. This is spot on!
Attached: materials data
-- begin --
No. 1
Structure and simulated PXRD pattern of Li3AcTl4 (the PBE geometry in Alexandria; Cu Kα (λ = 1.5418 Å)).
Peak positions follow from Bragg's law for the DFT cell and can differ from measured ones.

Atomic structure:
a b c (Å): 4.9006 4.9006 29.0932
angles (deg): 90.00 90.00 120.00
Space group R-3m (No. 166, hexagonal axes)
Unique sites:
Li 0.0000 0.0000 0.0000 x3
Li 0.0000 0.0000 0.2665 x6
Ac 0.0000 0.0000 0.5000 x3
Tl 0.0000 0.0000 0.1011 x6
Tl 0.0000 0.0000 0.3728 x6

Most intense lines, 5 to 70 degrees two-theta, sorted by position:
- hkl 0 1 2, 21.81 deg, I 36
- hkl 1 0 4, 24.28 deg, I 65
- hkl 0 1 5, 25.99 deg, I 29
- hkl 1 0 7, 30.09 deg, I 61
- hkl 0 1 8, 32.42 deg, I 78
- hkl 1 1 0, 36.68 deg, I 100
- hkl 1 0 10, 37.48 deg, I 28
- hkl 2 0 8, 49.75 deg, I 24
- hkl 1 1 15, 60.92 deg, I 39
- hkl 1 2 8, 63.37 deg, I 23


No. 2
Structure and simulated PXRD pattern of Ba3Zn3In2 (the PBE geometry in Alexandria; Cu Kα (λ = 1.5418 Å)).
Peak positions follow from Bragg's law for the DFT cell and can differ from measured ones.

Atomic structure:
a b c (Å): 5.105 11.961 16.674
angles (deg): 90.00 90.00 90.00
Space group Cmcm (No. 63)
Unique sites:
Ba 0.000 0.090 0.250 x4
Ba 0.000 0.397 0.103 x8
Zn 0.000 0.108 0.034 x8
Zn 0.000 0.208 0.750 x4
In 0.000 0.302 0.596 x8

Most intense lines, 5 to 70 degrees two-theta, sorted by position:
- hkl 1 1 4, 28.64 deg, I 100
- hkl 1 3 1, 28.91 deg, I 94
- hkl 0 0 6, 32.21 deg, I 30
- hkl 1 3 3, 32.74 deg, I 23
- hkl 0 4 3, 34.05 deg, I 37
- hkl 2 0 0, 35.16 deg, I 54
- hkl 1 3 4, 35.79 deg, I 33
- hkl 1 3 7, 47.92 deg, I 21
- hkl 2 0 6, 48.45 deg, I 29
- hkl 2 4 3, 49.75 deg, I 25


No. 3
Structure and simulated PXRD pattern of NaAlSbO5 (the PBE geometry in Alexandria; Cu Kα (λ = 1.5418 Å)).
Peak positions follow from Bragg's law for the DFT cell and can differ from measured ones.

Atomic structure:
a b c (Å): 6.946 9.060 7.526
angles (deg): 90.00 116.14 90.00
Space group C2/c (No. 15)
Unique sites:
Na 0.000 0.170 0.250 x4
Al 0.000 0.190 0.750 x4
Sb 0.000 0.500 0.000 x4
O 0.000 0.424 0.250 x4
O 0.092 0.299 0.607 x8
O 0.196 0.060 0.901 x8

Most intense lines, 5 to 70 degrees two-theta, sorted by position:
- hkl 1 1 0, 17.26 deg, I 100
- hkl 0 2 0, 19.60 deg, I 26
- hkl 1 1 -2, 25.77 deg, I 78
- hkl 2 0 0, 28.63 deg, I 36
- hkl 1 3 0, 32.96 deg, I 33
- hkl 0 2 2, 33.08 deg, I 34
- hkl 3 1 -2, 40.94 deg, I 15
- hkl 3 1 0, 44.73 deg, I 12
- hkl 2 2 2, 51.96 deg, I 13
- hkl 3 3 0, 53.52 deg, I 13


No. 4
Structure and simulated PXRD pattern of Sr2Al4Ge3Pd (the PBE geometry in Alexandria; Cu Kα (λ = 1.5418 Å)).
Peak positions follow from Bragg's law for the DFT cell and can differ from measured ones.

Atomic structure:
a b c (Å): 4.518 4.518 10.501
angles (deg): 90.00 90.00 90.00
Space group P-4m2 (No. 115)
Unique sites:
Sr 0.000 0.500 0.241 x2
Al 0.000 0.000 0.500 x1
Al 0.000 0.500 0.882 x2
Al 0.500 0.500 0.500 x1
Ge 0.000 0.000 0.000 x1
Ge 0.000 0.500 0.631 x2
Pd 0.500 0.500 0.000 x1
-- stop --
Last week (just shy of 38 weeks) I was awoken in the middle of the night by a contraction for the first time. I have been getting Braxton Hicks for a while now, and this was definitely a very different sensation than the tight, tense feeling of a Braxton Hicks. This one took my breath away and felt like a combination of a bad menstrual cramp and intense back pain with the sharpness of a gas pain and a general sense of pressure in the pelvis. I definitely understood quickly the need for learning about breathing techniques in baby classes, and I was immediately thankful that we spent time doing that so that Bryan can coach me through contractions when they’re coming hot and heavy. I woke Bryan up, and we timed them- just in case- but ultimately I was able to go back to sleep. After calling to check in with the nurse the next morning, I learned that this is prodromal labor, and basically means I will likely get random contractions here and there until actual labor comes. They have come each day since then, mostly waking me up in the middle of the night, but then they leave just as suddenly as they come. I am actually thankful for these contractions as I was worried that I wouldn’t be able to distinguish between a Braxton Hicks and a labor contraction. They feel completely different… and maybe once I actually go into labor I will look back and laugh thinking that these preview contractions were nothing like the real thing either. But for now, I feel at ease knowing that I will be able to identify when I am feeling something more than a Braxton Hicks.
[Here the page breaks off for materials data]
........
# 1
Structure and simulated XRD peak list of TlGaO2 (a cell relaxed with PBE; a wavelength of 1.5418 Å).
Neutral-atom scattering factors, no anomalous dispersion.

Crystal structure
```
data_TlGaO2
_cell_length_a 3.928
_cell_length_b 10.284
_cell_length_c 3.079
_cell_angle_alpha 90.00
_cell_angle_beta 90.00
_cell_angle_gamma 90.00
_symmetry_space_group_name_H-M 'P m n 21'
_symmetry_Int_Tables_number 31
loop_
_symmetry_equiv_pos_as_xyz
'x,y,z'
'-x+1/2,-y,z+1/2'
'-x,y,z'
'x+1/2,-y,z+1/2'
loop_
_atom_site_label
_atom_site_fract_x
_atom_site_fract_y
_atom_site_fract_z
Tl1 0.000 0.157 0.000
Ga1 0.000 0.587 0.171
O1 0.000 0.449 0.675
O2 0.000 0.712 0.675
```

Principal peaks in the range 2θ from 5° to 70°, sorted by position:
- 24.3°, rel. 32.8, hkl 1 1 0
- 26.0°, rel. 37.1, hkl 0 3 0
- 28.6°, rel. 100.0, hkl 1 2 0
- 30.3°, rel. 33.9, hkl 0 1 1
- 33.9°, rel. 52.9, hkl 0 2 1
- 37.1°, rel. 41.1, hkl 1 0 1
- 45.9°, rel. 34.8, hkl 1 3 1
- 46.2°, rel. 20.6, hkl 2 0 0
- 51.8°, rel. 18.9, hkl 1 4 1
- 58.6°, rel. 22.3, hkl 2 2 1

# 2
Structure and simulated XRD peak list of TmGa2O4 (a cell relaxed with PBE; a wavelength of 1.5418 Å).
Neutral-atom scattering factors, no anomalous dispersion.

Crystal structure
```
data_TmGa2O4
_cell_length_a 4.525
_cell_length_b 4.525
_cell_length_c 5.242
_cell_angle_alpha 90.00
_cell_angle_beta 90.00
_cell_angle_gamma 90.00
_symmetry_space_group_name_H-M 'P -4 2 m'
_symmetry_Int_Tables_number 111
loop_
_symmetry_equiv_pos_as_xyz
'x,y,z'
'y,-x,-z'
'-x,-y,z'
'-y,x,-z'
'x,-y,-z'
'y,x,z'
'-x,y,-z'
'-y,-x,z'
loop_
_atom_site_label
_atom_site_fract_x
_atom_site_fract_y
_atom_site_fract_z
Tm1 0.000 0.000 0.000
Ga1 0.000 0.500 0.500
O1 0.240 0.240 0.289
```

Principal peaks in the range 2θ from 5° to 70°, sorted by position:
- 19.6°, rel. 51.1, hkl 1 0 0
- 26.0°, rel. 48.5, hkl 1 0 1
- 32.8°, rel. 100.0, hkl 1 1 1
- 39.7°, rel. 15.5, hkl 1 0 2
- 39.8°, rel. 17.9, hkl 2 0 0
- 48.2°, rel. 18.9, hkl 2 1 1
- 53.5°, rel. 31.7, hkl 2 0 2
- 57.6°, rel. 24.4, hkl 2 2 0
- 60.4°, rel. 16.7, hkl 1 1 3
- 67.9°, rel. 23.4, hkl 3 1 1


Theoretical powder XRD pattern
Compound: CsLi2PaS4
Radiation: Cu Ka
Structure: DFT lattice parameters and positions (GGA-PBE)

Atomic structure:
Cell lengths 7.035, 7.035, 9.200 Å; angles 90.00, 90.00, 90.00 degrees
Fractional coordinates of all 16 atoms:
Cs  0.000  0.000  0.000
Cs  0.500  0.500  0.500
Li  0.000  0.500  0.250
Li  0.000  0.500  0.750
Li  0.500  0.000  0.250
Li  0.500  0.000  0.750
Pa  0.000  0.000  0.500
Pa  0.500  0.500  0.000
S  0.199  0.199  0.670
S  0.199  0.801  0.330
S  0.301  0.301  0.170
S  0.301  0.699  0.830
S  0.699  0.301  0.830
S  0.699  0.699  0.170
S  0.801  0.199  0.330
S  0.801  0.801  0.670

Top 10 peaks for 2θ from 5° to 70°, low angle first:
5.589 Å, I = 26.3
4.975 Å, I = 100.0
4.600 Å, I = 22.9
3.518 Å, I = 21.8
3.377 Å, I = 85.9
2.794 Å, I = 61.0
2.487 Å, I = 27.6
2.088 Å, I = 20.7
2.003 Å, I = 43.4
1.925 Å, I = 21.3
........
We have a doctor appointment tomorrow afternoon where they’ll check my cervix for the first time to see if I am dilated at all. We will likely schedule an ultrasound for the following week (around 39.5 weeks) to check on Liam’s weight. He will definitely be a big boy! Once we see how big he is next week (assuming he hasn’t come by then) we will talk through options with our midwife to ensure that we’re aware of all of our choices and the risks associated with each. It’s definitely our preference to wait until he is ready to come on his own, and we are hopeful that that will be the case. But, I do want to be educated on the downside of him getting too big and potentially not dropping or risking being injured on his way out. Inducing is not my first option, but I also want to do what is best for Liam at the end of the day. The good news is we are now with a practice where we don’t feel pressured one way or the other, and I am nervous but also believe in Bryan’s and my ability to make the right decision for our son. It is hard when there is no black and white, right or wrong way to proceed, though. I guess we can count this as practice for the many times in the future where there is no guide book on parenting, and Bryan and I have to trust in our gut and in each other that we will make the right call for our little family.
Attached: records of crystals:
┌──
# 1
Diffraction record for Dy4InAuO. The XRD peak list is computed, not measured: it uses a DFT-relaxed cell (PBE, Alexandria) and CuKα.
Neutral-atom scattering factors, no anomalous dispersion.

Crystal structure
```
Dy4InAuO
1.0
3.316 -7.676 0.000
3.316 7.676 0.000
0.000 0.000 6.644
Dy In Au O
8 2 2 2
Cartesian
1.658 3.838 0.000 Dy
1.658 3.838 3.322 Dy
3.316 6.721 4.983 Dy
3.316 1.258 4.983 Dy
1.658 -3.838 0.000 Dy
1.658 -3.838 3.322 Dy
3.316 -1.258 1.661 Dy
3.316 -6.721 1.661 Dy
3.316 1.764 1.661 In
3.316 -1.764 4.983 In
3.316 5.805 1.661 Au
3.316 -5.805 4.983 Au
3.316 3.712 4.983 O
3.316 -3.712 1.661 O
```

Top 10 peaks for 2θ = 10–90°, sorted by position:
two_theta  Rel. int.
26.9  25
29.3  97
34.9  41
35.1  25
35.8  100
38.4  82
52.8  25
52.9  31
63.9  22
67.7  32

---

# 2
Diffraction record for Mg2Ag3Au4. The XRD peak list is computed, not measured: it uses a DFT-relaxed cell (PBE, Alexandria) and CuKα.
Neutral-atom scattering factors, no anomalous dispersion.

Crystal structure
```
Mg2Ag3Au4
1.0
4.165 0.000 0.000
-2.081 4.585 0.000
-0.006 -2.629 8.397
Mg Ag Au
2 3 4
Cartesian
-0.003 0.974 1.859 Mg
2.081 0.982 6.539 Mg
0.000 0.057 4.644 Ag
2.083 0.000 0.000 Ag
2.078 1.899 3.753 Ag
-0.005 -0.811 7.461 Au
-0.002 2.790 5.624 Au
2.080 -0.834 2.773 Au
2.083 2.767 0.936 Au
```

Top 10 peaks for 2θ = 10–90°, sorted by position:
two_theta  Rel. int.
19.9  22
24.6  20
27.2  23
37.5  100
37.6  99
43.3  34
43.5  34
44.3  31
63.0  22
63.8  31

---

# 3
Diffraction record for CsTbAgI5. The XRD peak list is computed, not measured: it uses a DFT-relaxed cell (PBE, Alexandria) and CuKα.
Neutral-atom scattering factors, no anomalous dispersion.

Crystal structure
```
CsTbAgI5
1.0
5.146 -6.926 0.000
5.146 6.926 0.000
-4.266 0.000 10.800
Cs Tb Ag I
2 2 2 10
Cartesian
1.947 4.861 8.100 Cs
4.080 -4.861 2.700 Cs
5.146 0.000 0.000 Tb
3.013 0.000 5.400 Tb
4.080 4.294 2.700 Ag
1.947 -4.294 8.100 Ag
-1.942 0.969 10.134 I
2.327 2.792 4.374 I
0.191 -0.969 4.734 I
5.832 2.792 1.026 I
1.947 0.965 8.100 I
4.080 -0.965 2.700 I
0.195 -2.792 9.774 I
5.835 0.969 6.066 I
3.699 -2.792 6.426 I
7.968 -0.969 0.666 I
```

Top 10 peaks for 2θ = 10–90°, sorted by position:
two_theta  Rel. int.
11.2  38
16.9  84
18.5  46
23.9  40
24.1  100
26.8  37
32.6  37
34.2  42
36.0  44
40.1  44

---

# 4
Diffraction record for SrBiAu3. The XRD peak list is computed, not measured: it uses a DFT-relaxed cell (PBE, Alexandria) and CuKα.
Neutral-atom scattering factors, no anomalous dispersion.

Crystal structure
```
SrBiAu3
1.0
6.422 0.000 0.000
0.000 7.447 0.000
-0.297 0.000 10.974
Sr Bi Au
4 4 12
Cartesian
1.365 0.283 2.805 Sr
1.216 3.441 8.292 Sr
4.908 4.006 2.682 Sr
4.760 7.164 8.169 Sr
2.965 5.499 5.481 Bi
2.817 5.671 10.968 Bi
3.308 1.775 0.006 Bi
3.160 1.948 5.493 Bi
-0.056 5.089 5.597 Au
0.092 6.081 0.111 Au
1.066 0.097 6.406 Au
1.214 3.626 0.919 Au
1.554 0.084 9.088 Au
1.703 3.640 3.601 Au
4.422 3.807 7.372 Au
4.571 7.363 1.885 Au
4.910 3.821 10.055 Au
5.059 7.350 4.568 Au
└──
On Sunday, there will be a Super Moon- the largest full moon of the year, and Bryan and I have plans to go to Scalini’s for dinner and order their famous labor-inducing eggplant parmesan. I am crossing my fingers that the combination of these two old wives tales may just be enough to trigger labor. But if not, it sounds like a fun date night anyway!